Personalised one-to-one mentorship for changemakers, social entrepreneurs, and systems change leaders
A one-of-a-kind, systems-informed offer that blends the inner work with
the outer work so you leave with exactly what you need to make change work!

We base the content of the mentorship programme on where you are in these three stages of your changework journey so that you don’t get advice that doesn’t fit your unique challenges.
Seed: Identify or redefine your purpose
You’re at an exciting yet overwhelming crossroads:
You want to find or rediscover your purpose and figure out where you’re best positioned to make a difference in the world.
Because you know you can’t carry on doing “business as usual.”
Whether you’re right at the start of your journey to finding your unique contribution, or you're having a crisis because you realise the work you've been doing isn't what you thought it would be, you know that something needs to change.

You don’t know where to go from here
If you've been overthinking for months or feel paralysed by the number of options and scale of the problems... it can be totally overwhelming.
And you don’t know where to start. How do you decide on something so big and important as your life’s purpose?
How do you choose your first, or next, job when you might not even be sure which industry or sector is right for you?
What can you, as an individual, really do when the scale of the world’s problems is so large, and anything you could do feels like pouring a bucket of water onto a forest fire?
You’re spending so much time questioning, thinking, and wondering what to do next that you’re getting annoyed at yourself for even ‘wasting’ this time when you could already contribute to making a difference in the world.
But you don’t want to add to the noise, you simply want to realise your potential.

Defining or re-finding your purpose: it’s a unique kind of struggle
One that I understand so deeply because some 15 years ago, and several times since, I was where you are.
But by recognising your challenges, you’re already on the path towards a more fulfilling career and life.
With my support, you can:
→ Figure out, or redefine, your purpose and what your contribution to the world looks like, based on your one-of-a-kind life experiences, strengths and personality, so you finally have an answer to your big question of ‘What should I do?’
→ Begin to learn about systems change with the right knowledge materials for your experience, so you can learn in a simple yet impactful way.
→ Get clarity on the next steps to start to make your dream changework career a reality, with an easy-to-digest, personalised action list that will help you realise the true power you have to make change work.
→ Take aligned action to implement the steps and actually act on what you want to do, instead of putting them off in favour of other, potentially easier things.
Jump to offerRoot: Deepen and expand your contribution
You know how you want to contribute to a more just and regenerative future but the scale of what needs to happen to see that change doesn’t feel achievable
Teachers and education leaders go into the field hoping they can change the lives of future generations for the better.
Some politicians go into politics with a dream to change the world and overhaul legislation for the better, finally taking power away from the people who only seek to serve their own needs.
Climate activists start to change their habits and inspire others to do the same, hoping that by setting an example of consuming less, campaigning and attending protests, they’ll help turn the tide and prevent ecosystem collapse.
But the education leaders then realise that due to limiting policies and factors outside of their control, they can’t even do what they know would be best for the students in the school they’re in, let alone change the entire school system.
The politicians face a deadlocked parliament and incredibly well-funded lobbying to protect the status quo, so, despite their passion and best efforts, they barely make a dent and the same unjust laws remain.
The climate activists realise that the problems can’t be solved by individual behaviour change alone and that their calls for change fall on closed ears. They march with signs that read 'systems change not climate change’ but are unsure how to contribute to that.

____________
Record 1
{
  "formula": "C2H6ClPS2",
  "method": "the ωB97M-V functional and the def2-TZVPD basis",
  "species": ["Cl", "S", "S", "P", "C", "C", "H", "H", "H", "H", "H", "H"],
  "coordinates": [[1.76841, -1.42144, -0.83249], [1.49948, 1.66002, -1.71188], [-3.03482, -2.11180, 2.07725], [0.93854, 0.27217, -0.21035], [-0.76694, 0.14247, -0.78124], [-2.17845, -1.53855, 3.34624], [-0.88367, -0.30310, -1.75896], [2.31095, 2.33618, -1.07792], [-1.44594, -0.40807, -0.12585], [-1.24613, -0.97071, 2.98031], [-2.44185, -1.88959, 4.38495], [-1.25843, 1.11309, -1.03732]],
  "atomic_forces_ev_per_a": [[0.4259, -1.4152, -0.5632], [-2.4895, -1.9707, -2.2523], [0.2239, 0.3952, 1.0279], [-0.2242, 2.0469, 0.8926], [-1.7694, 0.4120, -1.0561], [0.4916, -0.7005, -1.6848], [0.4452, -0.7034, -0.3685], [2.5290, 1.8658, 2.1654], [0.3307, -0.0023, 0.2439], [-1.3655, -0.6024, 1.6738], [0.6778, 0.9318, -1.0410], [0.7246, -0.2571, 0.9622]],
  "mulliken_charge": [-0.19, -0.27, -0.19, 0.28, -0.82, -0.27, 0.38, 0.12, 0.15, 0.19, 0.26, 0.35],
  "smiles": "CP(S)Cl.C=S",
  "orbital_gap_ha": 0.3095,
  "multiplicity": 1,
  "lumo_ev": -0.642,
  "e_above_lowest_kj_mol": 207.1
}

***

Record 2
{
  "formula": "C2H6CsO",
  "method": "the ωB97M-V functional and the def2-TZVPD basis",
  "species": ["Cs", "O", "C", "C", "H", "H", "H", "H", "H", "H"],
  "coordinates": [[-10.88434, 5.26612, 10.59230], [-10.31979, 7.80358, 12.34226], [-9.15832, 8.63961, 12.20611], [-8.19292, 7.99484, 11.19761], [-7.40286, 8.71672, 10.99072], [-8.72069, 7.76732, 10.27144], [-8.61575, 8.74162, 13.14596], [-7.56802, 7.16505, 11.52782], [-9.46948, 9.65726, 11.97018], [-10.96802, 7.96391, 11.65256]],
  "atomic_forces_ev_per_a": [[0.1040, -0.1790, 0.1009], [-0.0276, -0.6455, 0.6390], [0.5855, -0.6422, -0.4903], [0.3349, 1.2317, 0.0593], [-0.1509, 0.3183, -0.4519], [0.1795, -0.0355, -0.1915], [-0.5567, -0.4065, 0.3401], [-0.7322, -0.4371, 0.4284], [0.0986, -0.0847, -0.4845], [0.1648, 0.8805, 0.0505]],
  "mulliken_charge": [1.02, -0.56, -0.22, -0.90, 0.32, 0.24, 0.27, 0.24, 0.29, 0.30],
  "orbital_gap_ha": 0.3877,
  "multiplicity": 1,
  "lumo_ev": -3.876,
  "e_above_lowest_kj_mol": 56.7,
  "total_charge": 1
}

***

Record 3
{
  "formula": "C2H6F2MnO2",
  "method": "the ωB97M-V functional and the def2-TZVPD basis",
  "species": ["Mn", "F", "F", "O", "O", "C", "C", "H", "H", "H", "H", "H", "H"],
  "coordinates": [[0.21693, -0.59735, 1.26696], [-0.86768, -1.57976, 2.77087], [1.98746, 0.05403, 2.07868], [0.58780, -2.28760, -0.03652], [-0.87949, 1.03281, 0.48341], [-0.97701, 2.35287, 0.09722], [0.72475, -1.88818, -1.35618], [-1.59980, 2.90812, 0.82967], [-1.54503, 2.47258, -0.84776], [1.26786, -0.92429, -1.42306], [0.02632, 2.79570, 0.02198], [1.28077, -2.62301, -1.97584], [-0.22289, -1.71592, -1.90943]],
____________

The challenges seem so big they make you feel like an ant at the bottom of a mountain
Whatever sector you’re in, you’re deeply committed to your chosen cause. Yet, you’ve realised that what you’ve learned so far and the known go-to strategies aren’t enough to solve the challenges you’re so aware of.
What you’ve been doing hasn’t been working the way you want it to and the way you know it needs to, and you’re not sure what to do next.
When you started on your path, you didn’t know what you know now. You had starry-eyed hope. Now, the more you learn, the more you realise how difficult it is to truly address the root cause of an issue and shift a paradigm.
Just like everyone in life questions their knowledge, approach, or strategy at some point, every honest changeworker committed to profound transformation experiences this crisis of confidence you’re feeling. Myself included!
Resist the urge to run away from the difficult work of true systems change
As someone who has built a social innovation ecosystem to advance systems change in Switzerland and beyond, and supported dozens of aspiring systems change leaders, take it from me: there is an alternative to running and hiding. Here’s one that has kept me hopeful and motivated when it all seemed doomed:

• Misplaced molecular data:
Entry 1:
Density functional theory data (wB97M-V/def2-TZVPD) for a gas-phase ion, C6H15O3SSi (charge -1) at a distorted geometry.

Properties
Spin multiplicity: 1
ΔE to the lowest compared entry with this formula, charge and spin (kJ/mol): 71.20
LUMO energy (eV): 3.522
HOMO energy (eV): -3.15
Orbital gap (Eh): 0.2452
Net charge: -1
E (hartree): -1151.0409

Geometry (Å):
C -3.0212 1.4335 -0.7874
C -3.6620 -0.4700 0.6757
C 3.5662 0.0131 -1.4041
C 3.1855 -1.6276 0.4898
C -2.5812 0.0865 -0.2319
C 2.5627 -0.6781 -0.5075
O 0.1510 0.3853 -0.4241
O 1.2507 0.2051 1.7084
O 1.9693 1.9256 0.0990
Si -0.9387 0.1853 0.7418
S 1.6523 0.5286 0.3335
H -2.2486 1.8488 -1.4288
H -3.9457 1.3444 -1.3644
H -3.1987 2.1316 0.0291
H -3.3718 -1.4477 1.0555
H -4.6191 -0.5668 0.1579
H -3.7994 0.1871 1.5313
H 3.1068 0.9137 -1.8045
H 4.5012 0.3047 -0.8982
H 3.8342 -0.6393 -2.2394
H 4.1344 -1.2681 0.9247
H 3.3922 -2.5870 0.0089
H 2.4803 -1.7887 1.3011
H -2.4623 -0.6023 -1.0737
H -1.0947 1.2964 1.6866
H -0.8432 -1.1141 1.4206

Atomic forces in eV per Å
C 0.173 -0.085 -0.058
C 0.051 -0.201 0.026
C -0.253 -0.118 -0.269
C -0.205 -0.197 -0.109
C 0.045 0.082 0.102
C 0.222 1.450 1.412
O 1.523 0.657 -0.356
O 0.254 -0.224 -0.097
O 0.241 -0.299 -0.098
Si -1.814 -0.659 0.546
S -0.121 -0.438 -1.596
H 0.047 0.175 -0.126
H -0.073 0.047 -0.045
H -0.038 0.185 0.075
H -0.100 -0.154 0.096
H -0.121 0.008 0.015
H -0.161 0.111 0.226
H 0.215 0.088 -0.265
H 0.014 -0.001 0.060
H 0.066 0.003 -0.081
H 0.028 0.023 -0.013
H 0.042 -0.119 0.055
H 0.103 -0.280 0.157
H 0.232 -0.068 -0.001
H -0.194 0.240 0.177
H -0.175 -0.227 0.169


Entry 2:
Density functional theory data (wB97M-V/def2-TZVPD) for 2 unconnected molecules or ions with the total composition C6H16 at a distorted geometry.

Properties
Spin multiplicity: 2
ΔE to the lowest compared entry with this formula, charge and spin (kJ/mol): 166.04
LUMO energy (alpha / beta) (eV): 4.041 / 3.973
HOMO energy (alpha / beta) (eV): 1.46 / -7.02
Orbital gap (alpha / beta) (Eh): 0.0948 / 0.4040
Net charge: -1
E (hartree): -238.0705

Geometry (Å):
C -1.7448 0.9905 -0.6888
C -2.4470 0.2347 -1.8663
C -2.4538 0.5036 0.6349
H -0.7379 0.8117 -0.6957
H -1.9252 2.0537 -0.8340
H -1.6722 0.0050 -2.6788
H -3.2305 -0.1741 0.4746
H -1.8334 -0.1295 1.1751
H -2.7113 1.3346 1.1816
H -2.6268 -0.8549 -1.6637
H -3.3258 0.6877 -2.1954
C 1.6360 -0.4601 0.9292
C 2.8990 0.5592 0.8574
C 2.0531 -1.7366 0.2098
H 1.2675 -0.6346 1.9108
H 0.8240 0.0454 0.5223
H 3.5660 0.5256 -0.0654
H 3.0943 -2.0483 0.4784
H 3.6184 0.2394 1.5629
H 2.4344 1.6070 0.8152
H 1.3406 -2.4860 0.4987
H 2.2622 -1.5311 -0.9433

Atomic forces in eV per Å
C -4.486 -1.014 -0.103
C 3.792 -2.364 -0.234
C 1.766 0.432 -2.355
H 2.493 -0.473 0.086
H 0.153 0.102 0.062
H -1.115 1.181 0.365
H -1.894 -0.441 -0.714
H 1.799 -0.784 1.310
H -0.889 1.670 1.663
H -0.323 0.970 0.599
H -1.377 0.766 -0.724
C 3.792 0.734 -1.129
C -2.141 0.426 -1.829
C 1.399 0.914 -1.628
H 0.430 -0.256 1.275
H -1.424 0.565 -1.454
H -1.485 -0.467 0.469
• So much for the molecular data:

Learn new strategies and methods of addressing complex challenges, and explore systems change even deeper so that it’s not a complex, distant idea that seems impossible, but instead something that you can realistically contribute to, something that can be achieved with the right knowledge, methods, allies, and belief you can do it.

With my support, you can:
- Gain a deeper understanding of systems change and the challenge you’re trying to address, so it becomes less overwhelming and more like something you can realistically contribute to.
- Learn new systems change tools and develop a specific strategy, allowing you to try something different to make a deeper impact in the field you're hoping to help transform.
- Shift your mindset and embrace the complexities of systems change and use that to deepen your understanding - instead of letting them overwhelm you.
- Get a clear path on the next steps to continue to learn what might be missing from your skills and identify potential allies
- Feel more certain that you’ll follow through with your recommended actions as I’ll be there with you, guiding you and encouraging you. And making sure things get done!
Bloom: Navigate and overcome the challenges of this work
If only you could simply do the systems change work you feel called to do without constantly running into walls
You’ve found the change work you’re meant to do, you’ve done the courses, the practical work, and learned even more through trying to implement it. You’ve found your purpose, something that can take many people an entire lifetime, and you know how you could contribute to systems change in your field.

Yet, the success of your initiative depends, mostly, on external factors you can’t control, like:
- Policy changes that are beyond your level of influence.
- The opinions of stakeholders and the public, who might be resistant to change, especially if they benefit from the status quo, and the process of changing beliefs is a long one.
- Securing funding and the continuous pressure to do so, causing you to feel burned out and struggling to give your cause the energy it needs, fuelling an exhausting cycle.
- The pressure of constantly trying to fit square pegs into holes in your fundraising, as most foundations are set up to fund 'simple' project work, not systems change work.
You question how long you can keep going like this
You’re asking yourself whether you can continue to commit fully to this cause because of the uncertainty and continuous pressure that make systems change work particularly difficult. You may have even quietly asked yourself, ‘Should I find an easier job that doesn’t drive me towards burnout?’
But you don’t want to complain about the challenges because “it’s not about you, it’s about the cause,” and you know there are others with much more life-threatening problems than yours.
But the world needs people who are working on systems change
And you don’t have to do it alone. Based on my 15 years of experience as a changeworker, 8 of which have been in the field of systems change, I deeply understand how lonely this work can feel. I also understand the level of support needed so you can begin to get through the challenges of this work with more joy and hope. This offering is what I wished existed when I first started.

Quantum chemistry results, kept here for reference:
********
# 1
The following is a quantum chemistry calculation of a 11-piece molecular cluster, C29H83N3O14 overall in a non-equilibrium geometry, from the OMol25 dataset.

Positions of all 129 atoms, in Å:
C (-2.3815, -6.6011, 4.4648)
O (-1.8190, -5.5623, 5.2889)
C (-0.9172, -6.0093, 6.3370)
C (0.3438, -6.6028, 5.7062)
N (1.0170, -5.7543, 4.6679)
C (1.7664, -6.5542, 3.7451)
C (2.6206, -5.7408, 2.7175)
O (2.0264, -5.1672, 1.6193)
C (1.5369, -6.1918, 0.6946)
H (-2.0060, -6.5886, 3.4416)
H (-3.4598, -6.5019, 4.3406)
H (-2.1860, -7.6079, 4.8338)
H (-1.3772, -6.7471, 6.9944)
H (-0.6759, -5.1529, 6.9666)
H (0.0280, -7.5931, 5.3782)
H (1.0066, -6.7922, 6.5504)
H (0.2672, -5.2775, 4.1879)
H (1.1208, -7.3409, 3.3550)
H (2.5412, -6.9827, 4.3808)
H (3.3481, -6.4729, 2.3671)
H (3.3593, -5.0669, 3.1514)
H (1.6171, -5.8626, -0.3414)
H (0.4771, -6.2036, 0.9491)
H (2.0302, -7.1638, 0.6896)
C (-0.0139, 2.8066, -2.4210)
O (1.2489, 3.0702, -3.1505)
C (1.3911, 2.4699, -4.3896)
C (1.1692, 3.4327, -5.5370)
N (1.4984, 2.9675, -6.9053)
C (0.4401, 2.0846, -7.3761)
C (0.7727, 1.5345, -8.7268)
O (1.0589, 2.3836, -9.8035)
C (-0.0356, 3.0860, -10.3923)
H (0.2480, 1.9420, -1.8111)
H (-0.8262, 2.6437, -3.1294)
H (-0.1568, 3.6836, -1.7897)
H (0.8079, 1.5496, -4.4219)
H (2.4219, 2.1170, -4.4202)
H (1.9230, 4.1602, -5.2361)
H (0.1839, 3.8946, -5.4734)
H (1.5724, 3.6849, -7.6123)
H (-0.4598, 2.6954, -7.4477)
H (0.2537, 1.2993, -6.6434)
H (-0.0313, 0.8612, -9.0240)
H (1.5511, 0.7733, -8.6745)
H (-0.1109, 4.1383, -10.1180)
H (-0.9941, 2.5949, -10.2247)
H (0.2205, 3.0615, -11.4515)
C (-0.6495, 6.9879, 4.6542)
O (-1.0338, 7.9597, 3.6843)
C (-0.1009, 8.2498, 2.6864)
C (0.1814, 7.1037, 1.7414)
N (-1.1495, 6.6790, 1.1316)
C (-1.1571, 5.3630, 0.5251)
C (-0.8242, 4.1343, 1.4377)
O (0.5841, 4.1221, 1.7028)
C (0.9274, 3.3225, 2.7957)
H (-0.6207, 5.9545, 4.3088)
H (-1.4183, 6.9630, 5.4265)
H (0.3241, 7.2579, 5.0634)
H (0.8559, 8.5622, 3.1046)
H (-0.4761, 9.0802, 2.0882)
H (0.6689, 6.3095, 2.3069)
H (0.8905, 7.4727, 1.0004)
H (-1.9691, 6.8216, 1.7044)
H (-0.5582, 5.3752, -0.3855)
H (-2.1737, 5.2502, 0.1483)
H (-1.0327, 3.1908, 0.9333)
H (-1.4591, 4.2927, 2.3094)
H (0.5588, 3.7756, 3.7160)
H (2.0130, 3.2514, 2.8636)
H (0.5100, 2.3459, 2.5505)
C (-3.3718, -1.2512, -2.5653)
C (-2.4134, -2.3214, -2.7785)
O (-1.8580, -2.1760, -4.0262)
H (-2.8811, -0.2810, -2.4877)
H (-3.9787, -1.3631, -1.6668)
H (-4.0462, -1.0796, -3.4043)
H (-2.8394, -3.3122, -2.6205)
H (-1.5888, -2.4261, -2.0734)
H (-1.0081, -2.6115, -4.1244)
C (-0.2129, -0.5024, 0.3624)
C (0.5347, -1.5545, 1.1983)
O (1.4328, -2.4563, 0.6994)
H (-1.2837, -0.6089, 0.5358)
H (-0.2748, -0.8135, -0.6804)
H (0.1804, 0.5133, 0.3195)
H (-0.1972, -2.0329, 1.8491)
H (1.2479, -1.0672, 1.8631)
H (1.3658, -3.2537, 1.2297)
C (-5.1911, 1.4390, -0.1923)
C (-3.8498, 2.0480, 0.2743)
O (-3.8160, 1.9309, 1.6891)
H (-5.2092, 0.3536, -0.0932)
H (-5.3987, 1.7040, -1.2290)
H (-6.0396, 1.8280, 0.3705)
H (-3.7210, 3.0531, -0.1273)
H (-2.9576, 1.6279, -0.1899)
********
End of the quantum chemistry results:

With my support, you can:
✓ Better understand, name and thus prepare for the challenges you are facing, including power struggles and personal risks you might have been taking
✓ Figure out how to raise funds from a new direction or method to stop the stress-inducing cycle of looking for small buckets of inadequate funding.
✓ Develop strategies to overcome bureaucratic hurdles and increase your perceived legitimacy so that you can access the stakeholders you need to, based on all the tricks I’ve learned over the years so you move forward with a plan that will actually bring you results.
✓ Expand your network so that you can find support, inspiration and potential partners for your continued journey as a changeworker.
✓ Get hands-on and emotional support, recognising you’re not alone in experiencing what you are. You have the resources and insights to prepare for the next obstacle the system will throw at you so you can stop the fire from happening instead of constantly putting it out.
But most of all, I can lend you a listening ear so you can talk to someone who understands your position and who won’t ever think that your problems are not big enough.
Jump to offerOne-to-one changework mentorship
A mentorship and hands-on support programme where every leader and changeworker leaves with the strategies, guidance, and momentum to achieve their next impact goal
- Feel supported and not alone in your experience, giving you a new burst of energy and hope to continue on your path to bring your unique contribution to a better tomorrow.
- Move towards your changework goals with confidence knowing you’re doing everything you can without sacrificing your health or wellbeing.
- Gain big-picture clarity about your situation but also leave with concrete, tangible next steps.
- Feel better able to cope with the scale and complexity of the challenges you face, and those happening in the world.

I’m Nora, and I’ve spent the last 16 years navigating the world of change work
After years of dedicating my life to changework, I had the same realisation you’re having right now: that nothing I could do felt like enough. I’d worked in the field for over 7 years, and yet I felt like nothing had shifted the way I’d hoped. The problems were, and are, more complex than I’d thought, and the tools we’re taught in mainstream education and work are insufficient to address them.
Paraphrasing Albert Einstein
Problems aren’t solved with the same thinking used to create them, after all.
So, with youthful optimism, I threw myself into the field of systems change and took courses, invested in experts, devoured plenty of books, ran Social Innovation Labs, and advocated for systems change on national and global stages.
But, I felt:
- overwhelmed at the scale of the problems our world faces and how unprepared we generally are to address them
- exhausted because systems change is really, really hard work, as the general resistance to change gets stronger the deeper the change you advocate for, and I was facing backlash which no one prepared me for
- disappointed at the lack of support from funders or allies, and the lack of guidance from people who had walked this path before (not just in theory, but in practice)
- unsure of how to make a further impact when I couldn’t physically take on any more work or be in three different places at once
I spent years looking for answers, for someone who had figured this out, but I had to realise: there is no magic trick. I had to forge my own path towards deepening my impact without also deepening my burnout.
Nudged by some of my mentors, I created Parayma and this mentorship offer, putting my 16 years of experience, my deep network of trusted professionals, and my hardest-learned lessons in service of fellow changeworkers and social entrepreneurs like you. This offering is not just built on theory or lofty concepts, but first-hand experience of what it’s like to be a catalyst and leader on the ground / in the field.
Together, we will refine your positioning, craft a systems-informed strategy, and navigate any obstacles that stand in your way so you can move forward with a refreshed sense of inspiration and the actionable strategies needed to change the future. It would be an honour to support you on your journey.
You’ll go through my five steps to become a more hopeful, fulfilled and impactful changeworker
While the methods, advice, and strategies will be unique to the stage of your changework journey and individual situation, we’ll always go through a similar process so that everyone leaves the sessions with what they need to thrive.
Step 1:
Understand where you’re at
Where are you at? I take time to understand your situation and how you look at it. How are you seeing the challenges you’re addressing or facing? Are you equipped and well-positioned to address them and make your unique contribution? What are your goals and hopes for entering this process?
Step 2:
Fill in the blanks
We’ll identify what is missing for you to be able to bridge the gap between where you are and where you want to be. This could be self-knowledge, skills, systems change tools and strategies, contacts or funding – anything that needs to be there for you to reach your goals and overcome your challenges.
Step 3:
Make a plan and prioritise
Based on your long-term vision and what we mapped in step two, we’ll identify both low-hanging fruits and longer-term changes that hold a lot of potential. We’ll come up with a systems-informed strategy for each of those goals you would like to accomplish. This strategy might evolve as you start to action it, as it is a living document that should be tweaked as you go depending on what you learn and achieve. Either way, we’ll make sure you know what to prioritise so you don’t feel overwhelmed with what you need to do.
Step 4:
This is where we move into action. You’re in the lead, but there are many ways I can help you implement the strategy we have created in step three, such as offering you feedback on a concept note you draft, workshopping a fundraising dossier live on a call with you, and making suggestions based on my own practical experience. We can also take this outside of the calls themselves, for instance by introducing you to new stakeholders, exploring ways for you to secure speaking engagements or other platforms for your important work, and more. What the implementation phase looks like depends on if you’re in Seed, Root, or Bloom but in all cases, I will continuously support you and tap into my wide network to help you reach your goals.
Step 5:
Reflect & adjust
Transformative change work is rarely linear, so we will continuously reflect on what we are learning as you test and probe different approaches to addressing your challenges. These learning cycles help us refine the strategy and interventions. As we approach the end of the sessions, we will make sure to leave you with a clear roadmap for your next steps so there is no second-guessing as you continue on your path towards a thriving and impactful changework career.

Here’s exactly what you’ll get with this mentorship programme

- Five live 60-minute sessions, spread out over five to eight weeks, via an all-in-one platform where we will go through my five-step process.
- Access to Kajabi, the digital platform that will be our ‘hub’ for the duration of our time together. Through there, you can book the time for our next session, access any of the resources shared during our sessions, re-watch the recordings, and read or take any notes. You don’t have to worry about piecing together three different apps or trying to remember where the document is with your actions for the week, it’s all in one place!
- Any additional resources are shared during the sessions, as needed - from leaders to follow, books, worksheets, tools, recommendations for events, industry contacts… If there is something I can do to support you, I will do it - you will get my full support during our time together.
- My hands-on help on any concrete things you need help with – such as a systems map, brainstorming potential partners, funding application, introducing you to someone, improving your LinkedIn profile… whatever it is that is blocking you from making your contribution to the world, you won’t be left to figure it all out on your own.
- Whilst the bulk of our work together happens in our live sessions, if an urgent issue or question pops up in between, I will make myself available a few times a week to respond to messages for extra support.
- Clearly defined, actionable next steps for you at the end of each session, uploaded to Kajabi immediately after, with a check-in at the start of the next session to see how you’re getting on and keep you gently accountable. Of course, things can evolve and life happens so I won’t force you to stick to a linear plan that no longer makes sense!
- We’ll do a closing session in our last call, which includes clarity on where you’ll go from there and the actions for you to focus on.
- You’ll still have access to the recordings, and all the notes and materials shared to refer back to whenever you need.
- My aim is for you to not need me long-term – so if all goes to plan, you won’t need another session, but I am ready to offer single sessions to people I’ve worked with in the past who really need it. Unless you move into another stage of changework, then it’s time to apply again and deepen the cycle!
Your questions
I don’t have time to add more things to my to-do list!
When do I find out if I am on the waitlist?
What if I have a question?
What happens if I’m on the waitlist, do I have to join?
Will I have access to the recordings?
Are there scholarships available?
Will you help me fundraise?
Will you run another cohort?
Your investment: 1’500 €
founders round starting price!
1’250 €
✓ Five live 60-minute sessions
✓ Central Coaching Hub
✓ Personalised Resources
✓ Hands-on Help
✓ Extra Support via Messages
✓ Weekly Actionable Steps
✓ Closing Session
✓ Access to Recordings, Materials, and Notes
With payment plans and scholarships available.
Applications close on the 25th of March for a start date in April. When you click the button below you’ll be taken to an external application form.
Apply now for one of the 5 spots